HST Rebate on Rental Construction
Update and Overview of the HST Tax Rebate for Rental Accommodation in Nova Scotia
By Dan White, CEO West Nova Chamber of Commerce.
Here is a condensed version as an introduction to the newly announced HST Tax Rebate. for rental accommodation in Nova Scotia, as there have been significant developments in recent weeks.
On September 14, the Federal Government made an important announcement regarding the GST, and the Nova Scotia government followed suit by addressing the provincial tax portion of the HST. These actions signify that when a multi-unit rental project is completed, builders will no longer be required to pay the HST.
The financial implications of this change are substantial. For instance, on a project valued at $1,000,000, the builder would have previously incurred $150,000 in HST payments to the Canada Revenue Agency (CRA). Importantly, there is no upper limit on the project’s value, meaning that this rebate applies regardless of the project’s scale.
This development holds the potential to make the construction of rental housing economically viable and attractive for developers. It represents a significant step in the right direction and has the potential to reduce or eliminate a significant source of tension between developers and the Canada Revenue Agency (CRA). This change carries considerable implications for developers and their advisors.
To provide more details, this change applies specifically to new purpose-built rental housing, including apartment buildings, student housing, and senior residences designed for long-term rental accommodation. The enhanced GST Rental Rebate increases the rebate percentage from 36% to 100% and eliminates the previous phase-out thresholds for purpose-built rental housing projects. This enhancement applies to projects that commence construction on or after September 14, 2023, and conclude construction by December 31, 2035.
-- What comes next are crystal structures, not part of the piece --
~~~
CePr3Ho6: computed PXRD pattern (Cu Kα (weighted mean of Kα1 and Kα2)), based on a GGA-PBE-relaxed structure.

Crystal structure
```
CePr3Ho6
1.0
14.1420 0.0000 0.0000
0.0000 3.5754 0.0000
-5.8352 0.0000 13.0358
Ce Pr Ho
2 6 12
Direct
0.0900 0.2500 0.4890 Ce
0.9100 0.7500 0.5110 Ce
0.1139 0.7500 0.9582 Pr
0.3653 0.2500 0.9211 Pr
0.4619 0.2500 0.3782 Pr
0.5381 0.7500 0.6218 Pr
0.6347 0.7500 0.0789 Pr
0.8861 0.2500 0.0418 Pr
0.0370 0.7500 0.2656 Ho
0.1620 0.7500 0.7187 Ho
0.2068 0.2500 0.1951 Ho
0.2773 0.7500 0.4365 Ho
0.3462 0.2500 0.6649 Ho
0.3918 0.7500 0.1452 Ho
0.6082 0.2500 0.8548 Ho
0.6538 0.7500 0.3351 Ho
0.7227 0.2500 0.5635 Ho
0.7932 0.7500 0.8049 Ho
0.8380 0.2500 0.2813 Ho
0.9630 0.2500 0.7344 Ho
```

Main lines, low angle first (10° ≤ 2θ ≤ 80°):
- 2θ = 30.92°, I 65.2
- 2θ = 31.64°, I 22.3
- 2θ = 31.77°, I 100.0
- 2θ = 32.48°, I 28.3
- 2θ = 34.27°, I 21.6
- 2θ = 35.07°, I 70.4
- 2θ = 52.62°, I 21.4
- 2θ = 53.31°, I 19.6
- 2θ = 60.93°, I 19.0
- 2θ = 61.35°, I 20.3

***

CePr4Ho6: computed PXRD pattern (Cu Kα (weighted mean of Kα1 and Kα2)), based on a GGA-PBE-relaxed structure.

Crystal structure
```
CePr4Ho6
1.0
-3.3488 3.3488 8.4459
3.3488 -3.3488 8.4459
3.3488 3.3488 -8.4459
Ce Pr Ho
1 4 6
Direct
0.0000 0.0000 0.0000 Ce
0.0170 0.0170 0.3824 Pr
0.3654 0.9830 0.0000 Pr
0.6346 0.6346 0.6176 Pr
0.9830 0.3654 0.0000 Pr
0.0000 0.5000 0.5000 Ho
0.1963 0.5584 0.0000 Ho
0.4416 0.4416 0.6379 Ho
0.5000 0.0000 0.5000 Ho
0.5584 0.1963 0.0000 Ho
0.8037 0.8037 0.3621 Ho
```

Main lines, low angle first (10° ≤ 2θ ≤ 80°):
- 2θ = 28.31°, I 48.3
- 2θ = 28.68°, I 64.0
- 2θ = 29.62°, I 28.9
- 2θ = 30.31°, I 100.0
- 2θ = 34.17°, I 87.4
- 2θ = 37.15°, I 31.2
- 2θ = 38.00°, I 34.3
- 2θ = 40.24°, I 33.6
- 2θ = 56.95°, I 30.8
- 2θ = 57.97°, I 26.8

***

CePr10Ho6: computed PXRD pattern (Cu Kα (weighted mean of Kα1 and Kα2)), based on a GGA-PBE-relaxed structure.

Crystal structure
```
CePr10Ho6
1.0
9.8967 0.0000 0.0000
-4.9484 8.5708 0.0000
0.0000 0.0000 6.9643
Ce Pr Ho
1 10 6
Direct
0.0000 0.0000 0.0000 Ce
0.0000 0.2750 0.3173 Pr
0.0000 0.7250 0.6827 Pr
0.2750 0.0000 0.3173 Pr
0.2750 0.2750 0.6827 Pr
0.3333 0.6667 0.0000 Pr
0.3333 0.6667 0.5000 Pr
0.6667 0.3333 0.0000 Pr
0.6667 0.3333 0.5000 Pr
0.7250 0.0000 0.6827 Pr
0.7250 0.7250 0.3173 Pr
0.0000 0.3680 0.8132 Ho
0.0000 0.6320 0.1868 Ho
0.3680 0.0000 0.8132 Ho
0.3680 0.3680 0.1868 Ho
0.6320 0.0000 0.1868 Ho
0.6320 0.6320 0.8132 Ho
```
~~~
While specific legislation has not yet been drafted, here is a summary of the expected changes based on the Department of Finance’s recent announcement:
- The existing “self-supply” GST rule remains in place, but the GST rebate for landlords increases from 36% to 100%.
- Developers must report GST liability when the building opens, but they can simultaneously file a rebate claim form to fully offset this tax payment liability.
- Developers must adhere to the existing rebate rule, including the condition that tenants must reasonably expect to reside in the property for at least one year.
- The value threshold for units eligible for the rebate is eliminated, meaning there is no value ceiling for qualifying units.
These records of crystals were left in the entry by mistake >
=====
# 1
# Li7Co5O12
Theoretical XRD peak list, Cu Kα X-rays. Input: a structure optimized by DFT (PBE+U).
Kinematic intensities with the Lorentz-polarization factor, no thermal factor.

a b c (Å): 5.760 2.852 12.376
angles (deg): 90.00 102.53 90.00
Space group P2/m (No. 10)
Inequivalent atoms, fractional coordinates:
Li 0.000 0.000 0.000 x1
Li 0.000 0.500 0.500 x1
Li 0.169 0.000 0.334 x2
Li 0.320 0.500 0.155 x2
Li 0.500 0.000 0.000 x1
Co 0.165 0.500 0.837 x2
Co 0.334 0.000 0.667 x2
Co 0.500 0.500 0.500 x1
O 0.055 0.000 0.169 x2
O 0.112 0.500 0.675 x2
O 0.246 0.500 0.985 x2
O 0.275 0.000 0.507 x2
O 0.389 0.000 0.826 x2
O 0.443 0.500 0.340 x2

Peak list (10 most intense, 2θ from 10° to 90°, sorted by position)
hkl 1 0 1, 18.8°, rel. 100.0
hkl 1 1 -2, 37.0°, rel. 24.7
hkl 1 0 -5, 37.2°, rel. 12.6
hkl 2 0 -4, 38.7°, rel. 10.4
hkl 2 1 -1, 44.7°, rel. 51.6
hkl 0 0 6, 45.0°, rel. 24.9
hkl 3 0 -3, 49.0°, rel. 11.0
hkl 3 1 0, 59.0°, rel. 9.6
hkl 2 1 5, 64.9°, rel. 13.2
hkl 2 1 -7, 65.7°, rel. 13.4

---

# 2
# BaDyFeCuO5
Theoretical XRD peak list, Cu Kα X-rays. Input: a structure optimized by DFT (PBE+U).
Kinematic intensities with the Lorentz-polarization factor, no thermal factor.

a b c (Å): 3.890 3.890 8.008
angles (deg): 90.00 90.00 90.00
Space group P4mm (No. 99)
Inequivalent atoms, fractional coordinates:
Ba 0.000 0.000 0.000 x1
Dy 0.000 0.000 0.462 x1
Fe 0.500 0.500 0.701 x1
Cu 0.500 0.500 0.255 x1
O 0.000 0.500 0.274 x2
O 0.000 0.500 0.629 x2
O 0.500 0.500 0.934 x1

Peak list (10 most intense, 2θ from 10° to 90°, sorted by position)
hkl 0 0 1, 11.0°, rel. 11.6
hkl 1 0 0, 22.9°, rel. 15.7
hkl 1 0 2, 32.1°, rel. 100.0
hkl 1 1 0, 32.6°, rel. 42.9
hkl 1 1 2, 39.8°, rel. 16.7
hkl 1 0 3, 41.0°, rel. 8.6
hkl 2 0 0, 46.7°, rel. 27.8
hkl 1 1 4, 56.9°, rel. 17.7
hkl 2 1 2, 57.8°, rel. 36.6
hkl 2 0 4, 67.1°, rel. 9.5

~~~~~

Record 1
# KLiW3O9
Computed X-ray powder pattern, Cu Kα (weighted mean of Kα1 and Kα2). Input: a crystal structure in the Materials Project, relaxed with PBE+U.
Peak positions follow from Bragg's law for the DFT cell and can differ from measured ones.

Most intense lines, 2θ from 10° to 80°, low angle first:
- hkl 1 -1 0, 13.39°, intensity 650
- hkl 0 0 2, 22.55°, intensity 663
- hkl 0 1 2, 26.32°, intensity 421
- hkl 2 0 0, 26.92°, intensity 1000
- hkl 2 -2 0, 27.03°, intensity 494
- hkl 1 1 -2, 32.65°, intensity 253
- hkl 0 2 -2, 35.43°, intensity 725
- hkl 4 -2 0, 47.70°, intensity 257
- hkl -4 2 2, 53.37°, intensity 205
- hkl 2 0 4, 54.17°, intensity 428

Crystal structure
a = 7.626 Å, b = 7.628 Å, c = 7.885 Å
α = 90.00°, β = 90.00°, γ = 119.73°
Space group P1 (No. 1)
Asymmetric unit:
K  0.000  0.000  0.000 [1 per cell]
K  0.003  0.006  0.498 [1 per cell]
Li  0.302  0.701  0.480 [1 per cell]
Li  0.598  0.302  0.981 [1 per cell]
W  0.001  0.499  0.733 [1 per cell]
W  0.001  0.500  0.229 [1 per cell]
W  0.503  0.506  0.233 [1 per cell]
W  0.505  0.506  0.729 [1 per cell]
W  0.507  0.002  0.731 [1 per cell]
=====
- The rebate applies to buildings with a minimum of four private apartment units or at least ten private rooms or suites, with 90% of residential units designated for long-term rental.
- Construction must commence on or after September 14, 2023, and conclude by December 31, 2035.
- Projects converting non-residential real estate into a residential complex may be eligible for the enhanced GST Rental Rebate if they meet the specified conditions. Public service bodies are also eligible to access this rebate.
Someone pasted records of crystals at this point
<<<
The following is a theoretical powder X-ray diffraction pattern of K2CdSnCl6. It was derived from DFT lattice parameters and positions (PBE), using Cu Kα, 1.54184 Å.
Intensities are scaled so that the largest is 1000.

Most intense lines, 15° ≤ 2θ ≤ 90°, by angle:
two_theta  I/Imax
16.57  1000
23.38  646
23.66  491
27.68  276
33.50  735
37.41  504
37.78  192
41.43  366
41.60  342
47.81  194

Structure:
a = 7.6113 Å, b = 7.6113 Å, c = 7.6113 Å
α = 59.22°, β = 59.22°, γ = 59.22°
Fractional coordinates of all 10 atoms:
K1 0.0000 0.0000 0.0000
K2 0.4992 0.4992 0.4992
Cd1 0.7223 0.7223 0.7223
Sn1 0.2229 0.2229 0.2229
Cl1 0.0504 0.4656 0.8714
Cl2 0.3879 0.9467 0.5660
Cl3 0.4656 0.8714 0.0504
Cl4 0.5660 0.3879 0.9467
Cl5 0.8714 0.0504 0.4656
Cl6 0.9467 0.5660 0.3879

=====

# 1
Structure and theoretical XRD peak list of Ga2CuPd6 (a GGA-PBE-relaxed structure; Cu Kα, 1.54184 Å).
Peak positions follow from Bragg's law for the DFT cell and can differ from measured ones.

Top 10 peaks for 10° ≤ 2θ ≤ 90°, sorted by position:
Position (°2θ)	I_rel
40.18	100
40.60	11
41.80	18
43.72	24
48.19	24
61.19	7
67.09	17
77.92	14
79.04	11
84.41	9

a b c (Å): 8.0119 8.0119 4.1405
angles (deg): 90.00 90.00 90.00
Sites, in units of the cell vectors:
Ga  0.1956  0.1956  0.0000
Ga  0.3044  0.6956  0.5000
Ga  0.6956  0.3044  0.5000
Ga  0.8044  0.8044  0.0000
Cu  0.0000  0.0000  0.5000
Cu  0.5000  0.5000  0.0000
Pd  0.0229  0.3243  0.5000
Pd  0.1313  0.8687  0.0000
Pd  0.1757  0.5229  0.0000
Pd  0.3243  0.0229  0.5000
Pd  0.3687  0.3687  0.5000
Pd  0.4771  0.8243  0.0000
Pd  0.5229  0.1757  0.0000
Pd  0.6313  0.6313  0.5000
Pd  0.6757  0.9771  0.5000
Pd  0.8243  0.4771  0.0000
Pd  0.8687  0.1313  0.0000
Pd  0.9771  0.6757  0.5000

***

# 2
Structure and theoretical XRD peak list of DyNpMn (a GGA-PBE-relaxed structure; Cu Kα, 1.54184 Å).
Peak positions follow from Bragg's law for the DFT cell and can differ from measured ones.

Top 10 peaks for 10° ≤ 2θ ≤ 90°, sorted by position:
Position (°2θ)	I_rel
28.55	40
31.38	100
32.00	17
40.31	10
40.81	19
48.84	11
50.13	15
52.37	22
57.54	12
61.10	10

a b c (Å): 6.2537 6.2537 7.4596
angles (deg): 90.00 90.00 90.00
Sites, in units of the cell vectors:
Dy  0.2299  0.2299  0.0000
Dy  0.2701  0.7299  0.2500
Dy  0.7299  0.2701  0.7500
Dy  0.7701  0.7701  0.5000
Np  0.1983  0.1983  0.5000
Np  0.3017  0.6983  0.7500
Np  0.6983  0.3017  0.2500
Np  0.8017  0.8017  0.0000
Mn  0.0595  0.9405  0.7500
Mn  0.4405  0.4405  0.5000
Mn  0.5595  0.5595  0.0000
Mn  0.9405  0.0595  0.2500

***

# 3
Structure and theoretical XRD peak list of KCaV (a GGA-PBE-relaxed structure; Cu Kα, 1.54184 Å).
Peak positions follow from Bragg's law for the DFT cell and can differ from measured ones.

Top 10 peaks for 10° ≤ 2θ ≤ 90°, sorted by position:
Position (°2θ)	I_rel
15.02	23
15.81	24
24.86	86
27.24	100
28.99	36
29.89	68
31.01	21
31.43	81
31.60	81
44.31	25

a b c (Å): 3.4394 6.0283 10.6022
angles (deg): 79.13 89.79 85.13
Sites, in units of the cell vectors:
>>>
- The enhanced GST Rental Rebate does not apply to individually-owned condominium units, single-unit housing, duplexes, triplexes, housing co-ops, owned houses on leased land, and residential trailer parks. However, these types of housing may still qualify for the existing GST Rental Rebate if they meet the conditions.
- To ensure that the enhanced GST Rental Rebate stimulates new supply and does not lead to renovictions, it does not apply to substantial renovations of existing residential complexes.
Please note that the enhanced GST Rental Rebate is effective immediately, pending the passage of implementing legislation.